8 Surprising Health Benefits of Pumpkin

It seems pumpkin is the go-to food during the fall season since it is hearty, and delicious, and wonderful when paired with fall spices like cinnamon, nutmeg, cloves, and ginger.

(like the DIY coffee mix at the bottom of this post)

It is also great to pair with other fall fruits and vegetables like butternut squash, apples, and cranberries.

While you may know all about how to use pumpkin in delicious recipes, you may not be aware of how healthy it is.

Pumpkin is a superfood. It has so many benefits.

Pumpkin is actually considered a superfood because it contains a high amount of vitamins and minerals.

It is relatively low in fat and can replace a lot of fattening ingredients in traditional recipes.

You can even make healthy dog treats with pumpkin!

Check out all the health benefits of pumpkin and why you should never feel guilty if you eat more of it. Unless of course, all you eat is pumpkin bread. 🙂

8 Surprising Health Benefits of Pumpkin

1. Pumpkin Is Nutrient-Dense 

Before going into the specific health benefits of pumpkin, you should know why it is good overall and what makes pumpkin a superfood.

In short – it is loaded with vitamins and minerals.

Pumpkin is nutrient-dense, including all parts of the pumpkin.

Pumpkin is nutrient-dense, including all parts of the pumpkin including the skin, flesh, and seeds.

You can take a pumpkin and roast the flesh of the pumpkin and the seeds, using each of them for different recipes.

Among the different nutrients included in pumpkin and vitamin C and vitamin E. 

Pumpkin is also a wonderful source of fiber, which you need for your digestive health.

It can improve your digestion and even help you lose weight. Fiber is also great for keeping your cholesterol levels at a decent level. Additional nutrients in the pumpkin seeds include:

  • Vitamin E
  • Iron
  • Magnesium
  • Omega-3 fatty acids
  • Zinc
  • Potassium

In addition to these nutrients, pumpkin also has vitamin B5, magnesium, and potassium.

As you can see, it is a very versatile food with a lot of exceptional and healthy options for the fall season.

Benefits of Pumpkin

2. Pumpkin Contains Lots of Fiber

One of the top health benefits of pumpkin and pumpkin seeds is that there is fiber.

You really need fiber no matter what your current health status is.

Whether you are trying to lose weight or simply want to improve your overall health, fiber is really at the top of the list of nutrients that are good for you.

The problem is that many people don’t get enough fiber in their diet, especially if they don’t follow a healthy diet in general.

The fiber content is a little different depending on if you make puree from fresh pumpkin, or if you use canned pumpkin.

With fresh pumpkin or pumpkin puree, you make at home, you get about 2.7 grams of fiber per pump of the pumpkin.

This is also only about 50 calories for a cup, so it is a great option when adding to various recipes.

If you prefer using pure canned pumpkin, then a cup has approximately 7 grams of fiber.

It is considerably more due to the added ingredients in canned pumpkin, but a little higher in calories at 80 calories per cup. As always, make sure you are using pure pumpkin, not the pumpkin pie filling.

Why You Need Fiber in Your Diet

Still not convinced about having more fiber in your diet? Consider these benefits of eating high-fiber foods like pumpkin:

  • You have better bowel health
  • It regulates your blood sugar levels
  • Fiber helps to reduce your cholesterol levels
  • You can improve your digestive health
  • It is amazing for weight loss

If you don’t think you are not getting enough fiber in your diet, consider adding pumpkin to more of your meals and desserts.

Pumpkin Bread is a wonderful treat with health benefits.

3. Pumpkin May Help Reduce Your Blood Pressure

If you are someone that struggles with high blood pressure, also known as hypertension, you might be curious about ways you can change your diet that will
help out.

As you know, high blood pressure is known as a silent killer.

This is because it can sneak up on you and lead to heart disease, stroke, or even death without hardly any symptoms.

The best way to know if you have high blood pressure is to have it checked by your doctor.

As many people with high blood pressure know, the key to lowering it is not only through medications but with healthy lifestyle changes.

This often includes exercising more, making sure you get enough vitamins and minerals, and changing your diet.

This can seem like a lot, but with small changes, you can make a large impact on your health.

Pumpkin health benefits

How Pumpkin Helps

Easy – it is full of phytoestrogens.

### Quantum chemistry results, as found in the file
........
This record from the Open Molecules 2025 dataset describes a cluster of 3 separate species, C22H28F21N4O4S in total. The level of theory is ωB97M-V with the def2-TZVPD basis set.

```
80
C22H28F21N4O4S | the Open Molecules 2025 dataset | ωB97M-V with the def2-TZVPD basis set
S -1.8244 5.0532 -4.2070
F 0.4771 -3.0413 7.5014
F -0.5226 -6.4348 -1.2219
F -2.9475 7.5657 -7.1103
F 0.0053 1.1950 5.9081
F 0.8910 -8.0370 -4.0280
F 0.3420 -1.1666 9.6594
F -3.5939 6.8725 -4.7869
F -0.3311 -8.5579 -1.6601
F 0.8540 -3.8597 9.4858
F 1.6515 -5.3865 -0.4111
F 2.4055 -1.6416 10.0959
F 1.0608 -3.3548 0.1078
F -0.2595 -4.1742 -2.1632
F -2.4741 5.5034 -7.2330
F 1.2086 -2.6371 -2.5773
F -2.1446 -0.4575 6.0832
F -0.9185 6.9795 -6.9531
F 1.9646 -7.2384 -2.3174
F -1.6299 7.6048 -4.5910
F 0.5385 -0.9126 5.8797
F -1.3876 -1.3515 7.9158
O -2.5010 5.0611 -2.9569
O -2.1554 3.8533 -4.8973
O 1.9529 -0.7200 8.1586
O 1.6789 -4.7011 -3.1518
N 0.6477 6.2325 -3.5791
N 1.9310 4.5225 -3.3631
N 2.9263 6.6308 -2.9561
N 0.7283 4.0874 -3.6717
C -1.5658 0.1330 0.4919
C 1.4857 -1.6158 9.1081
C 0.9171 -5.7211 -3.7847
C -0.7808 -0.6813 -0.5874
C 0.7988 1.9805 -2.4136
C 1.1101 0.3558 7.7838
C -2.3337 -0.7997 1.4955
C -0.4030 -7.3309 -2.2266
C 1.7151 -4.1043 -0.8127
C 1.0641 -3.9309 -2.1856
C 0.6389 0.4359 -2.4780
C -0.0501 5.1316 -3.8110
C 1.8830 5.8673 -3.2871
C -0.7791 -0.0246 -1.9991
C 1.3413 -3.0273 8.5387
C -1.3426 -0.2387 7.1559
C -2.3654 6.6032 -5.0872
C -1.7357 -0.7662 2.9465
C 0.4536 2.6476 -3.7862
C -2.1431 6.6205 -6.6357
C 0.0760 0.0715 6.6823
C 0.8497 -7.0767 -3.0630
H -1.2792 -1.6571 -0.6784
H -0.5993 2.4224 -3.9721
H 2.7638 -3.7998 -0.8407
H -0.0682 -5.3650 -4.0870
H 0.0440 2.3557 -1.7033
H 0.2383 -0.8835 -0.2295
H -1.4789 0.8254 -2.0379
H 0.8238 0.0625 -3.4971
H -1.2537 -1.7309 3.1547
H 1.0640 2.1653 -4.5637
H -2.2554 -1.8415 1.1513
H 1.4478 -5.9073 -4.7179
H -0.8154 0.6786 1.0853
H 1.8092 2.2391 -2.0644
H -2.5740 -0.6534 3.6400
H 0.6642 0.8444 8.6510
H -1.3041 -7.2948 -2.8458
H 1.3733 -0.0360 -1.8123
H -1.1066 -0.7938 -2.7137
H 3.4873 6.3508 -2.1656
H 1.7938 1.0941 7.3650
H -1.7607 0.5956 7.7266
H 2.7451 3.9434 -3.1961
H 3.1737 7.4741 -3.4494
H 2.3057 -3.4052 8.1928
H -2.2784 0.8356 0.0405
H -0.9666 0.0064 3.0668
H -3.4013 -0.5439 1.4967
```

The value obtained for the HOMO-LUMO gap is 8.35 eV. As for the total charge: +1. As for the highest occupied orbital energy: -12.51 eV.

These are the Löwdin partial charges, in e, on atoms 1 to 5: atom 1 (S): 0.801, atom 2 (F): 0.096, atom 3 (F): 0.089, atom 4 (F): 0.196, atom 5 (F): 0.097

***

This record from the Open Molecules 2025 dataset describes a structure of composition C20H14BCoN10S2Se2Te2. The level of theory is ωB97M-V with the def2-TZVPD basis set.

```
52
C20H14BCoN10S2Se2Te2 | the Open Molecules 2025 dataset | ωB97M-V with the def2-TZVPD basis set
Te 5.5099 -3.1594 -6.7884
Te 3.3493 -2.1346 -3.5511
Se 3.2656 -2.4493 -6.1338
Se 0.9390 -1.4903 -3.8766
Co 0.4432 -0.6011 -1.5401
S 0.5579 -2.1725 2.0187
........
### Here the entry continues

These are important nutrients for reducing and even preventing hypertension.

But that’s not the only reason it helps with blood pressure and heart health.

Many of the vitamins and minerals in pumpkin flesh and the seeds can help your overall health, which helps reduce your blood pressure.

If this sounds like something you would be interested in, the first thing you want to do is find healthy recipes that use pumpkin.

It is best that you start with foods you already enjoy, as it won’t feel as much like a ‘diet’, but more like you are just adding something to your current diet.

This can be anything from having your morning smoothie with some pureed pumpkin to adding a little pumpkin to your salads when you already have butternut squash in them.

If you want a sweet treat, make pumpkin muffins or cookies, as they are often more nutrient-rich than traditional baked goods.

Just be sure to use organic ingredients and eat them in moderation.

Pumpkin helps your vision

4. Pumpkin May Help Protect Your Vision 

Everyone should be concerned about their vision, no matter what their age or health is at this moment.

From children to senior citizens, protecting your vision really needs to be a top priority.

Another way you can protect your eyes is through a healthy diet, especially one rich in vitamin A.

Also known as beta-carotene, vitamin A can help reduce your risk of eye conditions, protect your vision, and even improve how well you see in dimly-lit rooms.

A variety of fruits and vegetables will give you enough of this vitamin, including pumpkins.

One thing you will notice is that most foods with beta-carotene are orange in color due to the carotenoids in them.

What are the health benefits of pumpkins

5. Pumpkin May Reduce Your Cancer Risk

By now, you can tell that pumpkin has a lot of amazing health benefits for you.

It is loaded with vitamins and minerals, helps your vision, and can even aid in lowering your blood pressure.

Another important health benefit is that it may be able to reduce your risk of cancer.

This is also due to the beta-carotene or vitamin A in pumpkin.

There have been studies performed that look at the connection between a beta-carotene deficiency and link to cancer.

They noticed there was a reduced risk, particularly of prostate cancer when men were getting enough of this nutrient in their regular diet.

To get the vitamin, you can take a vitamin or multivitamin each day, and try to get more through your diet.

You already know pumpkin is a good source of beta-carotene, but here are some other foods that do too:

  • Spinach
  • Kale
  • Carrots
  • Butternut squash
  • Sweet potatoes
  • Turnip Greens

As you can see, all of these superfood vegetables are available in the fall, so you can make salads and soups with any combination of fall veggies and you will increase Vitamin A to reduce your risk for cancer.

Other nutrients in pumpkin that help with cancer prevention are vitamin E, vitamin C, and of course antioxidants.

Pumpkin Benefits For Your Skin

6. Pumpkin Helps You Have Glowing Skin

One of the health benefits that tends to surprise a lot of people is that pumpkin can actually help with the protection and health of your skin.

Just about everyone wants better skin, from reducing acne to having a glowing complexion, but it’s not all about the expensive products you use.

Sometimes, it has more to do with your lifestyle, including eating a healthy diet and drinking a lot of water.

Pumpkin contains important nutrients your skin needs, including carotenoids.

By eating more pumpkin, you are getting additional nutrients your skin needs to be healthy and well protected, not to mention all the benefits of those added antioxidants and other vitamins in pumpkin.

Health benefits of Pumpkins

7. Pumpkins Boost Your Immune System

Pumpkin is typically in season during late summer and through the fall, which is great because this is when people often want pumpkin-spiced treats and foods.

It is also good because this is when many people are prone to colds and allergy attacks.

One of the top health benefits of pumpkin is the fact that it can help boost your immunity.

Beta carotene and vitamin C give you a natural boost to your immune system and help you fight off the common cold, infections, and allergies.

Health Benefits of Pumpkins

8. Pumpkin Is Good For Heart Health

Lastly, you should know that pumpkin is great for heart health.

You already know that the nutrients in pumpkin are good for your blood pressure, but they also help your heart in other ways.

It is important for everyone to pay attention to their cardiovascular health in order to be healthy overall, but also to reduce complications like heart disease, stroke, and heart attack.

In addition to the other nutrients in pumpkin, it is the fiber that is going to help with your heart health the most.

Having a diet higher in fiber can reduce your risk for coronary heart disease, according to a study done at Harvard University.

More fiber can also help you to lose weight, which as you know is also good for your heart health.

Benefits of Pumpkin

What’s Not To Love About Pumpkin?

Unrelated to this piece: data records:
'''
1.
18
Properties=species:S:1:pos:R:3:mulliken_charge:R:1 method="wB97M-V/def2-TZVPD" orbital_gap_ev=7.80 e_above_lowest_kcal_mol=115.9 mol_weight_da=84.162
C -0.80171 -1.50747 0.52248 -0.77
C -0.38086 -1.06962 -0.78338 -0.58
C -0.13233 0.35526 -1.06303 0.71
C -1.08896 1.40004 -0.51198 -1.57
C 1.17121 0.15871 -0.30683 -0.35
C 1.23865 0.19348 1.16573 -1.33
H -1.70824 -1.03660 0.92255 0.23
H 0.02907 -1.10034 1.28508 0.13
H -0.87288 -2.59346 0.62304 0.35
H -0.00024 -1.79291 -1.49859 0.37
H 0.07531 0.54673 -2.11864 0.36
H -0.66715 2.40756 -0.60420 0.37
H -1.32323 1.22486 0.54237 0.35
H -2.03104 1.36861 -1.06850 0.35
H 1.96292 -0.37050 -0.82807 0.35
H 0.70182 0.96339 1.71370 0.34
H 1.74977 1.11495 0.19902 0.33
H 2.08982 -0.26248 1.66188 0.36

2.
18
Properties=species:S:1:pos:R:3:mulliken_charge:R:1 method="wB97M-V/def2-TZVPD" orbital_gap_ev=7.61 e_above_lowest_kcal_mol=158.8 mol_weight_da=84.162
C -1.83843 0.85709 0.22288 -1.33
C -0.88166 -0.06261 -0.45836 0.35
C -1.12477 -1.08417 -1.25425 -0.88
H 0.30798 1.02223 -0.60003 -0.07
H -2.21628 0.41918 1.15237 0.28
H -1.35580 1.81130 0.48703 0.34
H -2.68766 1.10472 -0.42172 0.42
H -2.13010 -1.38515 -1.53239 0.33
H -0.29053 -1.69325 -1.60343 0.35
C 0.96266 0.01425 1.49344 -1.37
C 0.96268 0.05429 -0.01864 1.01
C 1.83998 -0.68094 -0.76474 -1.23
H 1.04895 1.50801 -0.23676 0.10
H 1.96840 0.22778 1.86319 0.41
H 0.66500 -0.98421 1.82080 0.33
H 0.28374 0.73894 1.94534 0.35
H 1.86624 -0.64315 -1.84343 0.38
H 2.61962 -1.22430 -0.25130 0.21

3.
18
Properties=species:S:1:pos:R:3:mulliken_charge:R:1 method="wB97M-V/def2-TZVPD" multiplicity=2 orbital_gap_ev="6.28 / 2.90" e_above_lowest_kcal_mol=63.1 total_charge=+1 mol_weight_da=84.162 s2=0.75
C -0.00156 -2.65303 0.05323 -0.85
C -1.28202 -2.88884 0.64575 0.39
C -1.44643 -2.93431 2.04156 -0.48
H 0.03400 -1.56161 -0.13390 0.25
H 0.89071 -2.91984 0.61293 0.39
H 0.06429 -3.11011 -0.93544 0.33
H -2.14271 -2.91272 -0.02076 0.36
H -2.37217 -2.74167 2.56540 0.31
H -0.55319 -3.21020 2.59101 0.30
C -0.14793 2.19272 -0.59658 -0.84
C 0.85453 3.10079 -1.29425 -0.01
C 2.09054 3.22262 -0.83427 -0.74
H 0.18920 1.90515 0.40037 0.30
H -1.05586 2.73498 -0.32890 0.34
H -0.24959 1.26901 -1.17362 0.15
H 0.45216 3.93277 -1.85895 0.28
H 2.75803 3.91564 -1.34724 0.26
H 2.71982 2.55197 -0.26476 0.27

4.
28
Properties=species:S:1:pos:R:3:mulliken_charge:R:1 method="wB97M-V/def2-TZVPD" multiplicity=2 orbital_gap_ev="7.79 / 3.97" e_above_lowest_kcal_mol=14.0 total_charge=+1 mol_weight_da=351.491 s2=0.75
Ag -2.49214 -2.47539 0.19958 0.73
Cl -1.06664 -0.29971 0.63137 0.08
C -2.84770 1.48040 2.95153 -0.65
N -2.56513 2.66455 3.77569 0.87
O -3.56957 3.11629 4.40004 -0.49
O -1.42421 2.99041 3.95762 -0.49
H -2.00197 0.80654 3.08845 0.14
H -2.86422 1.89234 1.94250 0.33
H -3.76945 0.95337 3.19794 0.32
C 1.37937 1.81040 1.85490 -0.70
N 2.79977 1.93974 2.30556 0.90
O 3.63994 1.99269 1.42195 -0.54
O 2.96429 1.92448 3.48955 -0.51
H 0.85530 1.17160 2.56580 0.33
H 1.40315 1.28460 0.90040 0.23
'''
So much for the data records:

I admit I don’t really like pumpkin pie but the thought of fresh pumpkin bread makes my mouth water!

Pumpkin is my favorite protein shake flavor and I love adding my DIY pumpkin spice to coffee.

Just whatever you do.

Don’t drink pumpkin spice coffee at Starbucks except on rare occasions since it is full of toxins.

You can easily make your own “pumpkin coffee” at home.

Try combining the following organic spices in a glass jar then sprinkle half of it over your coffee before it brews.

When your coffee is ready add a little stevia and cream to taste.

  • 1 tsp freshly ground cinnamon
  • ¼ tsp freshly ground nutmeg
  • ¼ tsp freshly ground cloves
  • ½ tsp freshly ground dried ginger

Pumpkin has some amazing health benefits because of its vitamin and fiber content.

How do you plan to add it to your diet?